Posted: April 19, 2017
Nutrition 120
Reminder of Quiz on Proteins on Friday
Biology 112
no HW
Science 10
complete Molecular Compounds sheet that was given in class today.
Reminder of Test on Chp 5 on Friday!!!
Posted: April 19, 2017
Nutrition 120
Reminder of Quiz on Proteins on Friday
Biology 112
no HW
Science 10
complete Molecular Compounds sheet that was given in class today.
Reminder of Test on Chp 5 on Friday!!!
Posted: April 13, 2017
Nutrition 120
no HW
Reminder Goal sheets with your analysis were due today. If you did not pass them in today get them in ASAP. Remember every day it is late you are losing 10% and I am not accpeting them after 5 days.
Biology 112
no HW
Science 10
complete review sheet ALL ionic compounds. Reminder of Quiz on Tuesday on All Ionic Compounds. Also we are almost finished Chp 5 there will be a test on Friday on Chp5
Posted: April 11, 2017
Nutrition 120
no HW we had a Test today on Fats. Reminder to students who were absent you will write your test tomorrow. See Miss Manderson to arrange a time during lunch or study block.
Reminder Goal sheet with Written Analysis is due on Thursday.
Biology 112
no HW. The answers to the worksheet and textbook questions were gone over today in class and we started a lab. Students who were absent can see below for the answers to the work that was completed yesterday. Those who were absent for the lab can join a group tomorrow.
Science 10
pg 198 #4,6,7 and Polyatomic WS
Remind of Quiz on Thursday on all Ionic Compounds and a Test on Chp 5 is coming up at the end of next week.
Posted: April 10, 2017
Nutrition 120
Test tomorrow on Fats. Answers to review are posted below.
Records of crystals, as found in the file.
<<<
Starting from a cell relaxed with PBE, the powder X-ray diffraction pattern of TeMo4Ru2 was simulated for Cu Kα.

Atomic structure:
```
data_TeMo4Ru2
_space_group_name_H-M_alt 'I 4/m m m'
_space_group_IT_number 139
_space_group_name_Hall '-I 4 2'
_cell_length_a 4.865
_cell_length_b 4.865
_cell_length_c 12.567
_cell_angle_alpha 90.00
_cell_angle_beta 90.00
_cell_angle_gamma 90.00
loop_
_atom_site_label
_atom_site_type_symbol
_atom_site_fract_x
_atom_site_fract_y
_atom_site_fract_z
Te1 Te 0.000 0.000 0.000
Mo1 Mo 0.000 0.000 0.210
Mo2 Mo 0.000 0.500 0.000
Ru1 Ru 0.000 0.000 0.388
```

Top 8 peaks for 2θ from 5° to 70°, in order of falling intensity:
| 2θ/deg | Rel. int. |
| --- | --- |
| 36.95 | 100 |
| 40.39 | 75 |
| 55.89 | 57 |
| 25.90 | 54 |
| 14.09 | 35 |
| 53.25 | 34 |
| 29.60 | 31 |
| 68.90 | 15 |

Starting from a cell relaxed with PBE, the powder X-ray diffraction pattern of Tb5Pr6Tl was simulated for Cu Kα.

Atomic structure:
```
data_Tb5Pr6Tl
_space_group_name_H-M_alt 'I m m m'
_space_group_IT_number 71
_space_group_name_Hall '-I 2 2'
_cell_length_a 5.092
_cell_length_b 10.101
_cell_length_c 15.483
_cell_angle_alpha 90.00
_cell_angle_beta 90.00
_cell_angle_gamma 90.00
loop_
_atom_site_label
_atom_site_type_symbol
_atom_site_fract_x
_atom_site_fract_y
_atom_site_fract_z
Tb1 Tb 0.000 0.000 0.000
Tb2 Tb 0.000 0.000 0.330
Tb3 Tb 0.000 0.500 0.336
Pr1 Pr 0.000 0.244 0.500
Pr2 Pr 0.000 0.255 0.165
Tl1 Tl 0.000 0.500 0.000
```

Top 8 peaks for 2θ from 5° to 70°, in order of falling intensity:
| 2θ/deg | Rel. int. |
| --- | --- |
| 30.35 | 100 |
| 34.77 | 17 |
| 35.25 | 17 |
| 35.55 | 16 |
| 59.61 | 15 |
| 60.25 | 14 |
| 60.65 | 14 |
| 63.15 | 12 |

=====

For Fe4O5F3, the PBE+U geometry in the Materials Project gives the theoretical powder XRD pattern in this record (Cu Kα, 1.54184 Å).

Structural model:
```
Fe4O5F3
1.0
4.7094 0.0000 0.0000
0.0000 6.1325 0.0000
-0.4092 0.0000 9.3994
Fe O F
8 10 6
direct
0.0000 0.0047 0.0000
0.0000 0.9953 0.5000
0.0691 0.4917 0.9658
0.0691 0.5083 0.4658
0.5111 0.2500 0.2198
0.5111 0.7500 0.7198
0.5247 0.2501 0.7291
0.5247 0.7499 0.2291
0.2174 0.2482 0.0751
0.2174 0.7518 0.5751
0.2204 0.2519 0.5758
0.2204 0.7481 0.0758
0.3491 0.4976 0.8176
0.3491 0.5024 0.3176
0.7034 0.0052 0.6397
0.7034 0.9948 0.1397
0.8276 0.2483 0.8805
0.8276 0.7517 0.3805
0.3206 0.0066 0.3307
0.3206 0.9934 0.8307
0.7294 0.4985 0.1258
0.7294 0.5015 0.6258
0.8286 0.2515 0.3784
0.8286 0.7485 0.8784
```

Main lines, by angle (10 to 80 degrees two-theta):
3.400 Å, intensity 95
3.255 Å, intensity 92
2.568 Å, intensity 100
2.351 Å, intensity 16
2.277 Å, intensity 18
1.755 Å, intensity 53
1.714 Å, intensity 54
1.533 Å, intensity 17
1.397 Å, intensity 29
1.395 Å, intensity 18


For KTaWO7, the PBE+U geometry in the Materials Project gives the theoretical powder XRD pattern in this record (Cu Kα, 1.54184 Å).

Structural model:
```
KTaWO7
1.0
-3.7331 3.7598 5.2737
3.7331 -3.7598 5.2737
3.7331 3.7598 -5.2737
K Ta W O
2 2 2 14
direct
0.5000 0.0000 0.0000
>>>
Reminder Nutrition goal sheet with reflection write up is due on Thursday
Biology 112
Complete Secrion 19-1 Bacteria WS, p. 477 # 1, 2, 4, 5, 6, Drawing of Bacteria
Science 10
pg 198 #1,2,3
Posted: April 7, 2017
Nutrition 120
/*
No. 1
# La2HfNiO6
Computed powder diffractogram, Cu Kα, 1.54184 Å. Input: a DFT-relaxed cell (PBE+U, the Materials Project).
No peak broadening, texture or thermal motion is included.

Most intense lines, 2θ from 10° to 90°, by angle:
two_theta, d [Å], Rel. int.
19.08, 4.653, 11
31.40, 2.849, 100
37.00, 2.430, 7
38.71, 2.326, 3
45.00, 2.015, 29
49.29, 1.849, 3
55.90, 1.645, 40
65.53, 1.425, 18
74.46, 1.274, 17
83.03, 1.163, 6

Structural model:
```
La2HfNiO6
1.0
0.000 4.029 4.029
4.029 0.000 4.029
4.029 4.029 0.000
La Hf Ni O
2 1 1 6
Direct
0.250 0.250 0.250
0.750 0.750 0.750
0.000 0.000 0.000
0.500 0.500 0.500
0.252 0.252 0.748
0.252 0.748 0.252
0.252 0.748 0.748
0.748 0.252 0.252
0.748 0.252 0.748
0.748 0.748 0.252
```



No. 2
# HfMg14NiO16
Computed powder diffractogram, Cu Kα, 1.54184 Å. Input: a DFT-relaxed cell (PBE+U, the Materials Project).
No peak broadening, texture or thermal motion is included.

Most intense lines, 2θ from 10° to 90°, by angle:
two_theta, d [Å], Rel. int.
10.19, 8.679, 39
14.43, 6.137, 61
20.47, 4.340, 32
25.47, 3.497, 36
29.40, 3.038, 26
36.09, 2.489, 47
41.62, 2.170, 100
42.48, 2.128, 48
60.33, 1.534, 29
60.99, 1.519, 57

Structural model:
```
HfMg14NiO16
1.0
8.679 0.000 0.000
0.000 8.679 0.000
0.000 0.000 4.256
Hf Mg Ni O
1 14 1 16
Direct
0.000 0.000 0.000
0.000 0.262 0.500
0.000 0.500 0.000
0.000 0.738 0.500
0.256 0.500 0.500
0.262 0.000 0.500
0.262 0.262 0.000
0.262 0.738 0.000
0.500 0.000 0.000
0.500 0.256 0.500
0.500 0.744 0.500
0.738 0.000 0.500
0.738 0.262 0.000
0.738 0.738 0.000
0.744 0.500 0.500
0.500 0.500 0.000
0.000 0.000 0.500
0.000 0.247 0.000
0.000 0.500 0.500
0.000 0.753 0.000
0.232 0.500 0.000
0.247 0.000 0.000
0.250 0.250 0.500
0.250 0.750 0.500
0.500 0.000 0.500
0.500 0.232 0.000
0.500 0.500 0.500
0.500 0.768 0.000
0.750 0.250 0.500
0.750 0.750 0.500
0.753 0.000 0.000
0.768 0.500 0.000
```



No. 3
# HfMg6NiO8
Computed powder diffractogram, Cu Kα, 1.54184 Å. Input: a DFT-relaxed cell (PBE+U, the Materials Project).
No peak broadening, texture or thermal motion is included.

Most intense lines, 2θ from 10° to 90°, by angle:
two_theta, d [Å], Rel. int.
19.48, 4.558, 50
23.07, 3.856, 49
29.69, 3.009, 35
31.31, 2.857, 63
35.76, 2.511, 83
39.54, 2.279, 60
42.49, 2.128, 100
59.43, 1.555, 65
61.65, 1.504, 30
75.76, 1.256, 30

Structural model:
```
HfMg6NiO8
1.0
4.255 0.000 0.000
0.000 4.255 0.000
0.000 0.000 9.116
Hf Mg Ni O
1 6 1 8
Direct
0.000 0.000 0.000
0.000 0.000 0.500
0.000 0.500 0.262
0.000 0.500 0.738
0.500 0.000 0.262
0.500 0.000 0.738
0.500 0.500 0.500
0.500 0.500 0.000
0.000 0.000 0.248
0.000 0.000 0.752
0.000 0.500 0.000
0.000 0.500 0.500
0.500 0.000 0.000
0.500 0.000 0.500
0.500 0.500 0.275
0.500 0.500 0.725
```



No. 4
# HfMg14NiO16
Computed powder diffractogram, Cu Kα, 1.54184 Å. Input: a DFT-relaxed cell (PBE+U, the Materials Project).
No peak broadening, texture or thermal motion is included.

Most intense lines, 2θ from 10° to 90°, by angle:
two_theta, d [Å], Rel. int.
*/
no HW, however any students who didnt pass in their fat assignment today can pass it in on Monday (which is the last day)
Reminder of Goal sheet that is due on Monday. You need to have your met or not met filled in as well as a note and the analysis compelted to pass in.
Also Reminder of Test on Tuesday on Fats
Biology 112
no HW
Science 10
Ionic Compounds WS
Posted: April 6, 2017
Nutrition 120
Your Fast Food Analysis Assignment is due tomorrow at the beginning of class
Reminder of Test on Tuesday on Fats
Also reminder that your goal sheets are due on Monday. You will need to fill in the goal sheets as met or not met and include notes about your progress, also there is a reflection that you need to write up as well.
Biology 112
no HW we had our quiz today on Classification. Tomorrow you will start with the Kingdom Monera with Miss Manderson (student teacher)
Science 10
complete the Try this questions that were on the board at the end of class
Posted: April 5, 2017
Nutrition 120
no HW you will continue working on your assignment in class tomorrow. It is due Friday at the beginning of class.
+++
Starting from DFT lattice parameters and positions (GGA+U), the powder XRD pattern of Li2VFeP2H2O10 was simulated for Cu Kα (λ = 1.5418 Å).
Lines closer than 0.1° are merged.

Most intense lines, 15° ≤ 2θ ≤ 90°, in order of falling intensity:
index, 2θ/deg, I_rel
-1 2 1, 26.76, 100.0
2 0 0, 28.87, 69.1
1 -2 1, 26.48, 58.5
1 0 1, 18.73, 36.7
1 0 -1, 17.55, 30.9
3 0 -3, 54.42, 30.6
1 0 -3, 35.85, 29.2
1 -1 1, 18.46, 29.0
0 1 -2, 25.55, 25.1
1 1 -1, 25.64, 23.2

Crystal structure
```
Li2VFeP2H2O10
1.0
6.964 0.000 0.000
-3.373 6.590 0.000
-0.399 -0.388 7.980
Li V Fe P H O
4 2 2 4 4 20
Direct
0.070 0.324 0.175
0.430 0.672 0.325
0.570 0.328 0.675
0.930 0.676 0.825
0.000 0.500 0.500
0.500 0.000 0.000
0.000 0.000 0.500
0.500 0.500 0.000
0.015 0.729 0.157
0.480 0.269 0.342
0.520 0.731 0.658
0.985 0.271 0.843
0.211 0.843 0.650
0.289 0.160 0.851
0.711 0.840 0.149
0.789 0.157 0.350
0.038 0.124 0.738
0.059 0.779 0.605
0.110 0.615 0.272
0.169 0.836 0.019
0.195 0.432 0.940
0.313 0.573 0.558
0.323 0.159 0.479
0.386 0.382 0.228
0.443 0.223 0.895
0.466 0.878 0.763
0.534 0.122 0.237
0.557 0.777 0.105
0.614 0.618 0.772
0.677 0.841 0.521
0.687 0.427 0.442
0.805 0.568 0.060
0.831 0.164 0.981
0.890 0.385 0.728
0.941 0.221 0.395
0.962 0.876 0.262
```

=====

Starting from a cell relaxed with GGA-PBE, the powder X-ray diffraction pattern of La2Zr3Ge4 was simulated for Cu Kα (λ = 1.5418 Å).
Neutral-atom scattering factors, no anomalous dispersion.

Unit cell a=7.605 b=7.608 c=7.451 alpha=90.00 beta=109.15 gamma=90.00
Atoms (fractional coordinates):
La  0.187  0.169  0.066
La  0.187  0.331  0.566
La  0.813  0.669  0.434
La  0.813  0.831  0.934
Zr  0.256  0.671  0.251
Zr  0.256  0.829  0.751
Zr  0.500  0.000  0.500
Zr  0.500  0.500  0.000
Zr  0.744  0.171  0.249
Zr  0.744  0.329  0.749
Ge  0.089  0.540  0.867
Ge  0.089  0.960  0.367
Ge  0.494  0.133  0.863
Ge  0.494  0.367  0.363
Ge  0.506  0.633  0.637
Ge  0.506  0.867  0.137
Ge  0.911  0.040  0.633
Ge  0.911  0.460  0.133

Largest 8 diffraction maxima, sorted by position, 10 to 90 degrees two-theta:
hkl	two_theta	Rel. int.
1 2 1	31.20	32
2 1 -2	31.45	32
2 2 -1	33.64	100
1 1 2	33.94	92
2 2 0	34.34	27
3 0 0	37.56	23
0 3 1	37.70	49
1 1 -3	38.12	53

=====

Entry 1:
The following is a calculated XRD peak list of Cd3Ag7Sn2. It was derived from a crystal structure in Alexandria, relaxed with PBE, using Cu Kα (weighted mean of Kα1 and Kα2).
Lines closer than 0.1° are merged.

```
data_Cd3Ag7Sn2
_chemical_formula_sum 'Cd3 Ag7 Sn2'
_cell_length_a 5.9215
_cell_length_b 6.0806
_cell_length_c 7.1664
_cell_angle_alpha 91.69
_cell_angle_beta 98.14
_cell_angle_gamma 106.33
_space_group_name_H-M_alt 'P -1'
_space_group_IT_number 2
loop_
_space_group_symop_operation_xyz
'x,y,z'
'-x,-y,-z'
loop_
_atom_site_label
_atom_site_fract_x
_atom_site_fract_y
_atom_site_fract_z
_atom_site_occupancy
Cd1 0.0000 0.0000 0.0000 1
Cd2 0.3135 0.5813 0.3679 1
Ag1 0.0000 0.5000 0.0000 1
Ag2 0.1375 0.7993 0.6702 1
Ag3 0.1641 0.2960 0.6908 1
+++
Also reminder of Test on Tuesday on Fats and to continue to fill in your goal sheet as met or not met with notes assessing your progress. The 6 week daily sheets as well as the summary are due on Monday.
Biology 112
Quiz tomorrow on Classification. The 6 Kingdom sheet, Classification Crossword and the Classification Quiz Review are for homework. The answers are posted below for you to check before tomorrows quiz.
Science 10
Quiz tomorrow on Ionic Compounds. Complete pg 195 #3-6 as well as the Ionic Compound Worksheet that was given in class today. We will go over the answers tomorrow before the quiz.
Posted: April 4, 2017
Nutrition 120
Reminder to continue to mark goals as met or not met with notes about how you are progressing and feeling. This is the last week and your goal sheet as well as your reflection is due on Monday.
Reminder of Test on fats on Tuesday
Biology 112
complete questions pg 461 #1-6, as well as the worksheets that were given out in class today
Reminder of Quiz on Thursday on Classification, Kingdoms and Domains
Science 10
pg 189 #1,3,4 as well as the forming ionic compounds worksheet
Posted: April 3, 2017
Nutrition 120
no HW
Reminder this is your last week of your goal sheet. You need to continue to mark your goal as met or not met and provide notes.
Biology 112
No homework. Reminder there is a quiz on Thursday on Classification
Science 10
pg 187 #4-6
Reminder to anyone who didn't pass in their case study that was due today to get it in ASAP. Every day it is late you are losing 10% and it will not be accepted after 5 days.
Posted: March 30, 2017
Nutrition 120
no HW
Reminder to continue to mark your goals as met or not met and continue to keep notes. Next week will be week 6 which is the final week for your goal.
Also reminder there will be a test near the end of next week on Fats
Biology 112
pg 450 #1-6
Science 10
Case Studies are due Monday. If you were absent today the assignment is posted below.